Contents:
MnInP2O8: optimized geometry, PBE+U.

Computed properties:
**Volume**: 12.86 Å³ per atom
**E_tot**: -6.862 eV per atom
**Fermi-level density of states**: 0.5726 states/eV per atom
**SG**: P-3m1 (164)
**M_tot**: 3.96 μB/cell

a = 5.2748 Å, b = 5.2748 Å, c = 6.4054 Å
α = 90.00°, β = 90.00°, γ = 120.00°
Closest atoms and distances in Å follow each position.
Fractional coordinates of all 12 atoms:
Mn 0.0000 0.0000 0.0000  6 O 2.33
In 0.0000 0.0000 0.5000  6 O 2.15
P 0.3333 0.6667 0.1945  4 O 1.52-1.56
P 0.6667 0.3333 0.8055  4 O 1.52-1.56
O 0.1711 0.3421 0.2689  1 P 1.56
O 0.1711 0.8289 0.2689  1 P 1.56
O 0.3333 0.6667 0.9566  1 P 1.52
O 0.3421 0.1711 0.7311  1 P 1.56
O 0.6579 0.8289 0.2689  1 P 1.56
O 0.6667 0.3333 0.0434  1 P 1.52
O 0.8289 0.1711 0.7311  1 P 1.56
O 0.8289 0.6579 0.7311  1 P 1.56

=====

# Dy3B7W (PBE, optimized geometry)
# Formation energy from the elements = -0.588 eV/atom
data_Dy3B7W
_space_group_name_H-M_alt 'C m c m'
_space_group_IT_number 63
_space_group_name_Hall '-C 2c 2'
_cell_length_a 3.467
_cell_length_b 16.014
_cell_length_c 9.488
_cell_angle_alpha 90.00
_cell_angle_beta 90.00
_cell_angle_gamma 90.00
loop_
_atom_site_label
_atom_site_type_symbol
_atom_site_fract_x
_atom_site_fract_y
_atom_site_fract_z
Dy1 Dy 0.000 0.107 0.060
Dy2 Dy 0.000 0.244 0.750
B1 B 0.000 0.272 0.032
B2 B 0.000 0.365 0.148
B3 B 0.000 0.456 0.750
B4 B 0.000 0.480 0.092
W1 W 0.000 0.053 0.750



# B (PBE, optimized geometry)
# Formation energy from the elements = 0.287 eV/atom
# Distance to the lowest polymorph of the same formula = 27.7 kJ/mol of atoms
data_B
_space_group_name_H-M_alt 'P 1'
_space_group_IT_number 1
_cell_length_a 2.883
_cell_length_b 5.814
_cell_length_c 5.934
_cell_angle_alpha 79.46
_cell_angle_beta 89.95
_cell_angle_gamma 75.71
loop_
_space_group_symop_operation_xyz
'x,y,z'
loop_
_atom_site_label
_atom_site_type_symbol
_atom_site_fract_x
_atom_site_fract_y
_atom_site_fract_z
B1 B 0.000 0.000 0.000
B2 B 0.012 0.974 0.559
B3 B 0.129 0.726 0.158
B4 B 0.152 0.682 0.511
B5 B 0.262 0.463 0.362
B6 B 0.399 0.185 0.299
B7 B 0.484 0.023 0.766
B8 B 0.612 0.763 0.989
B9 B 0.627 0.733 0.697
B10 B 0.754 0.479 0.580
B11 B 0.900 0.190 0.732
B12 B 0.972 0.037 0.273



This record from the Alexandria database describes a relaxed structure of SiNi2Os. The functional is PBE.

The structure in CIF format:
```
data_SiNi2Os
_space_group_name_H-M_alt 'I m m 2'
_space_group_IT_number 44
_cell_length_a 3.042
_cell_length_b 4.038
_cell_length_c 7.856
_cell_angle_alpha 90.00
_cell_angle_beta 90.00
_cell_angle_gamma 90.00
loop_
_space_group_symop_operation_xyz
'x,y,z'
'-x,-y,z'
'-x,y,z'
'x,-y,z'
'x+1/2,y+1/2,z+1/2'
'-x+1/2,-y+1/2,z+1/2'
'-x+1/2,y+1/2,z+1/2'
'x+1/2,-y+1/2,z+1/2'
loop_
_atom_site_label
_atom_site_type_symbol
_atom_site_fract_x
_atom_site_fract_y
_atom_site_fract_z
Si1 Si 0.000 0.000 0.000
Ni1 Ni 0.000 0.000 0.484
Ni2 Ni 0.000 0.500 0.715
Os1 Os 0.000 0.500 0.259
```



# Tb2HoEr8 (PBE, optimized geometry)
# Formation energy from the elements = 0.164 eV/atom
# Distance to the lowest polymorph of the same formula = 4.4 kJ/mol of atoms
data_Tb2HoEr8
What to do:
Please filter the block further up: keep the lines with the word "of".
Worked solution:
**Fermi-level density of states**: 0.5726 states/eV per atom
Fractional coordinates of all 12 atoms:
# Distance to the lowest polymorph of the same formula = 27.7 kJ/mol of atoms
This record from the Alexandria database describes a relaxed structure of SiNi2Os. The functional is PBE.
# Distance to the lowest polymorph of the same formula = 4.4 kJ/mol of atoms